Convent Life

Meet the new Novices and their Patron Saints

_Data records, kept here for reference_
A relaxed structure of Ba2SmBiO6, computed with GGA-PBE.

The structure belongs to space group Pn-3 (No. 201, origin choice 2); the cell edges are 8.810, 8.810 and 8.810 Å and the angles 90.00°, 90.00° and 90.00°. The asymmetric unit holds Ba at (0.250, 0.250, 0.250), Ba at (0.250, 0.250, 0.750), Sm at (0.000, 0.000, 0.000), Bi at (0.000, 0.000, 0.500) and O at (0.022, 0.523, 0.759).

The value obtained for the calculated total energy is -263.3 eV for the cell shown. Its formation energy is -2780 meV/atom.

It has been just over a month since the four postulants have undergone a metamorphosis.  Their “new look” has a profound and spiritual meaning. Both in the Church and in the eyes of the world the religious habit symbolizes at one and the same time,           (a)  separation from the world, the renunciation of its spirit and its … Read more

The Clothing Ceremony in Photos

  At last we have some photos to show our families, friends and benefactors who were unable to attend the Ceremony in January. Please remember to pray for the Novices who received the holy habit and who will withdraw from the turmoil of exterior things this year in order to unite themselves more fully with … Read more

What has been happening around the convent?

We’ve all been asked by Mother Catherine to write a bit about our ‘new’ patron Saints, so that our readership gets to know a little more about them. I have a considerably easier task than the others, though, because I have a sneaking suspicion that plenty of people already know about St Anne. I have, … Read more

Busy like a bee, thou did serve the Lord.

“It was like the work which keep bees hard at their task about the flowering countryside as the sun shines in the calm of early summer…All is a ferment of activity, and the scent of honey rises with the perfume of thyme.”  How aptly these words of Virgil the poet describe the scene at Rosary … Read more

November: Month of the Holy Souls

O, what a debt of gratitude we owe God for the merciful institution of Purgatory. He will not cast us away from Him when we arrive travel-worn and sin-stained at the gates of our heavenly Fatherland.  If only we bear within our souls the image of God in Sanctifying Grace, we shall be received with … Read more

-- The entry is interrupted by crystal structures --
'''
# 1
Compound: Ba4Y2Cu6NiO15
Source: Materials Project
Functional: GGA+U
Structure: optimized geometry

Cell: 3.8852 7.8370 25.8048 Å, 81.26 85.68 89.99°
Fractional positions:
Ba (0.5421, 0.7921, 0.9158)
Ba (0.3118, 0.5617, 0.3763)
Ba (0.3118, 0.0619, 0.3763)
Ba (0.4582, 0.2081, 0.0837)
Ba (0.5421, 0.2921, 0.9158)
Ba (0.4582, 0.7082, 0.0837)
Ba (0.6884, 0.4384, 0.6231)
Ba (0.6884, 0.9385, 0.6231)
Ni (0.1512, 0.6513, 0.6975)
Ni (0.1512, 0.1512, 0.6975)
O (0.9123, 0.1624, 0.1755)
O (0.3566, 0.3567, 0.2867)
O (0.5871, 0.0872, 0.8257)
O (0.2662, 0.7662, 0.4676)
O (0.1921, 0.6922, 0.6156)
O (0.6434, 0.6433, 0.7133)
O (0.7328, 0.7328, 0.5343)
O (0.5871, 0.5872, 0.8257)
O (0.0000, 0.7499, 0.0001)
O (0.9123, 0.6621, 0.1755)
O (0.4127, 0.4127, 0.1746)
O (0.0000, 0.2500, 0.0001)
O (0.9631, 0.9631, 0.0738)
O (0.4128, 0.9127, 0.1746)
O (0.8558, 0.6060, 0.2884)
O (0.8065, 0.8064, 0.3873)
O (0.3566, 0.8567, 0.2867)
O (0.0369, 0.5369, 0.9263)
O (0.1921, 0.1922, 0.6156)
O (0.0876, 0.8377, 0.8247)
O (0.1442, 0.3941, 0.7117)
O (0.6434, 0.1433, 0.7133)
O (0.1442, 0.8941, 0.7117)
O (0.8558, 0.1057, 0.2884)
O (0.2663, 0.2662, 0.4676)
O (0.8065, 0.3064, 0.3873)
O (0.0876, 0.3377, 0.8247)
O (0.7328, 0.2328, 0.5343)
O (0.0368, 0.0369, 0.9263)
O (0.9631, 0.4630, 0.0738)
Y (0.6159, 0.3659, 0.7682)
Y (0.3848, 0.6347, 0.2305)
Y (0.3848, 0.1348, 0.2305)
Y (0.6159, 0.8659, 0.7682)
Cu (0.9184, 0.4184, 0.1633)
Cu (0.2290, 0.2291, 0.5418)
Cu (0.8513, 0.8513, 0.2974)
Cu (0.0000, 0.5000, 0.0000)
Cu (0.0814, 0.0814, 0.8371)
Cu (0.7702, 0.7701, 0.4598)
Cu (0.0814, 0.5814, 0.8371)
Cu (0.7702, 0.2701, 0.4598)
Cu (0.8513, 0.3513, 0.2974)
Cu (0.0000, 0.0000, 0.0000)
Cu (0.2290, 0.7291, 0.5418)
Cu (0.9184, 0.9184, 0.1632)


# 2
Compound: BaSrV4Cu4O16
Source: Materials Project
Functional: GGA+U
Structure: optimized geometry

Cell: 9.9959 9.9959 9.9959 Å, 99.61 99.61 131.78°
Fractional positions:
Ba (0.0000, 0.0000, 0.0000)
Ba (0.7500, 0.2500, 0.5000)
Sr (0.2500, 0.7500, 0.5000)
Sr (0.5000, 0.5000, 0.0000)
V (0.2797, 0.6250, 0.1547)
V (0.3750, 0.0695, 0.1945)
V (0.3750, 0.5297, 0.6547)
V (0.4703, 0.1250, 0.8453)
V (0.8195, 0.6250, 0.6945)
V (0.8750, 0.1805, 0.8055)
V (0.8750, 0.7203, 0.3453)
V (0.9305, 0.1250, 0.3055)
Cu (0.0860, 0.0704, 0.6670)
Cu (0.1690, 0.6534, 0.8330)
Cu (0.3466, 0.1796, 0.5156)
Cu (0.4034, 0.4190, 0.3330)
Cu (0.5810, 0.9140, 0.9844)
Cu (0.6640, 0.8310, 0.4844)
Cu (0.8204, 0.3360, 0.1670)
Cu (0.9296, 0.5966, 0.0156)
O (0.0000, 0.6376, 0.6802)
O (0.0592, 0.5544, 0.1514)
O (0.0698, 0.2074, 0.8198)
O (0.0922, 0.9408, 0.4952)
O (0.1456, 0.1925, 0.3152)
O (0.1696, 0.8544, 0.0469)
O (0.1960, 0.5204, 0.6401)
O (0.2704, 0.4460, 0.1401)
O (0.3044, 0.3092, 0.6514)
O (0.3060, 0.1304, 0.8599)
O (0.3470, 0.6956, 0.0048)
O (0.3624, 0.0426, 0.3624)
O (0.3876, 0.2500, 0.1802)
O (0.4030, 0.9078, 0.8486)
O (0.4440, 0.8040, 0.3244)
O (0.4456, 0.5970, 0.5048)
O (0.4796, 0.1196, 0.6756)
O (0.5540, 0.6940, 0.8244)
O (0.5804, 0.1273, 0.1848)
O (0.6044, 0.4196, 0.5469)
'''

The Feast of Christ the King

Christus Vincit Christus Regnat Christus, Christus Imperat! These words rang out from the voices in the Tynong procession close to thirty times on Sunday, demonstrating a firm belief in Our Lord’s sovereignty even in today’s atheistic world. And God, Who is not to be outdone in generosity, saw that the rainclouds – which looked threatening … Read more

St Matthew’s surprise

St. Matthew is one of those saints                                     who becomes a dear friend                                                once you get acquainted.                                                       Let’s get to know him a bit better!           St. Matthew:  I am always happy to make new friends.  You know, I didn’t have very many to begin with.                                                                                                   Inmate of Rosary Convent:  Really?  Why is … Read more

The happiest place on earth…

Records of crystals from another source follow:
........
Record 1
Crystalline Li3Cr4P6O24 at its relaxed geometry. Source: the Materials Project, functional PBE with a Hubbard U.

a b c (Å): 8.550 8.643 8.589
angles (deg): 60.77 59.97 89.77
Fractional coordinates of all 37 atoms:
1 Li 0.350 0.558 0.620
2 Li 0.030 0.055 0.614
3 Li 0.741 0.339 0.366
4 Cr 0.849 0.575 0.789
5 Cr 0.355 0.073 0.796
6 Cr 0.646 0.929 0.201
7 Cr 0.154 0.432 0.201
8 P 0.529 0.742 0.720
9 P 0.249 0.760 0.279
10 P 0.753 0.243 0.721
11 P 0.036 0.253 0.000
12 P 0.475 0.257 0.278
13 P 0.958 0.753 0.000
14 O 0.119 0.933 0.871
15 O 0.011 0.441 0.864
16 O 0.485 0.896 0.758
17 O 0.062 0.713 0.484
18 O 0.369 0.551 0.902
19 O 0.232 0.265 0.822
20 O 0.288 0.953 0.087
21 O 0.549 0.778 0.516
22 O 0.723 0.735 0.693
23 O 0.945 0.765 0.819
24 O 0.408 0.759 0.321
25 O 0.249 0.611 0.230
26 O 0.758 0.394 0.764
27 O 0.042 0.249 0.178
28 O 0.597 0.244 0.679
29 O 0.277 0.257 0.322
30 O 0.726 0.050 0.904
31 O 0.473 0.218 0.475
32 O 0.766 0.749 0.174
33 O 0.635 0.448 0.089
34 O 0.939 0.279 0.516
35 O 0.520 0.102 0.239
36 O 0.983 0.567 0.133
37 O 0.876 0.077 0.116

Record 2
Crystalline LiV2O3F3 at its relaxed geometry. Source: the Materials Project, functional PBE with a Hubbard U.

Properties
Piezoelectric modulus e_max: 1.021 C/m2

a b c (Å): 5.104 5.144 5.301
angles (deg): 92.49 116.43 118.10
Fractional coordinates of all 9 atoms:
1 Li 0.582 0.808 0.343
2 V 0.994 0.484 0.527
3 V 0.003 0.013 0.000
4 O 0.071 0.839 0.752
5 O 0.894 0.246 0.730
6 O 0.897 0.143 0.238
7 F 0.144 0.761 0.272
8 F 0.509 0.391 0.245
9 F 0.495 0.644 0.746

Record 3
Crystalline Cs5V5FeCl6O13 at its relaxed geometry. Source: the Materials Project, functional PBE with a Hubbard U.

a b c (Å): 11.200 11.200 11.066
angles (deg): 90.00 90.00 90.00
Fractional coordinates of all 60 atoms:
1 Cs 0.500 0.000 0.650
2 Cs 0.000 0.500 0.350
3 Cs 0.765 0.735 0.717
4 Cs 0.765 0.265 0.717
5 Cs 0.235 0.735 0.717
6 Cs 0.235 0.265 0.717
7 Cs 0.735 0.765 0.283
8 Cs 0.735 0.235 0.283
9 Cs 0.265 0.765 0.283
10 Cs 0.265 0.235 0.283
11 V 0.000 0.500 0.852
12 V 0.500 0.000 0.148
13 V 0.776 0.000 0.989
14 V 0.224 0.000 0.989
15 V 0.500 0.276 0.989
16 V 0.500 0.724 0.989
17 V 0.724 0.500 0.011
18 V 0.276 0.500 0.011
19 V 0.000 0.224 0.011
20 V 0.000 0.776 0.011
21 Fe 0.500 0.500 0.500
22 Fe 0.000 0.000 0.500
23 Cl 0.720 0.500 0.496
24 Cl 0.280 0.500 0.496
25 Cl 0.000 0.220 0.496
26 Cl 0.000 0.780 0.496
27 Cl 0.780 0.000 0.504
28 Cl 0.220 0.000 0.504
29 Cl 0.500 0.280 0.504
30 Cl 0.500 0.720 0.504
31 Cl 0.500 0.500 0.715
32 Cl 0.000 0.000 0.715
33 Cl 0.000 0.000 0.285
34 Cl 0.500 0.500 0.285
35 O 0.000 0.500 0.705
36 O 0.500 0.000 0.295
37 O 0.706 0.000 0.859
38 O 0.294 0.000 0.859
39 O 0.500 0.206 0.859
40 O 0.500 0.794 0.859
41 O 0.794 0.500 0.141
42 O 0.206 0.500 0.141
43 O 0.000 0.294 0.141
44 O 0.000 0.706 0.141
45 O 0.673 0.000 0.106
46 O 0.327 0.000 0.106
47 O 0.500 0.173 0.106
48 O 0.500 0.827 0.106
49 O 0.827 0.500 0.894
50 O 0.173 0.500 0.894
51 O 0.000 0.327 0.894
52 O 0.000 0.673 0.894
........
The records of crystals stop here:

 “Let us shout for joy to the great King, creator of the universe. In Him Louis lives, sharing the glory of the saints.”  – these words were sung during Matins as we celebrated the feast of St Louis Bertrand – patron of novitiates.  Postulants and Novices provides entertainment for the community on the feast of … Read more